• Activity:
Your job: repeat the whole of the entries below word for word.
• Input:
/*
This entry pairs a crystal structure of Sr3Y3ScSe8 with its computed X-ray diffraction stick pattern. Radiation: λ = 1.5418 Å (Cu Kα). Structure: the PBE geometry in Alexandria.

Top 10 peaks for 10 to 90 degrees two-theta, in order of rising 2θ:
| index | 2θ/deg | I (rel.) |
| --- | --- | --- |
| 0 1 2 | 14.9 | 6 |
| 0 2 4 | 30.0 | 100 |
| 2 0 8 | 42.1 | 36 |
| 2 2 0 | 43.8 | 35 |
| 0 0 12 | 51.2 | 6 |
| 4 0 4 | 54.0 | 18 |
| 0 4 8 | 62.4 | 11 |
| 2 2 12 | 69.6 | 14 |
| 2 4 4 | 72.0 | 15 |
| 4 2 8 | 79.3 | 11 |

Structural model:
Cell lengths 8.2706, 8.2706, 21.4225 Å; angles 90.00, 90.00, 120.00 degrees
Space group R-3m (No. 166, hexagonal axes)
One atom of each set of equivalent atoms:
Sr: 0.0000 0.5000 0.0000 [9 per cell]
Y: 0.0000 0.5000 0.5000 [9 per cell]
Sc: 0.0000 0.0000 0.5000 [3 per cell]
Se: 0.0000 0.0000 0.2439 [6 per cell]
Se: 0.0096 0.5048 0.2404 [18 per cell]
*/
• Here it is:
This entry pairs a crystal structure of Sr3Y3ScSe8 with its computed X-ray diffraction stick pattern. Radiation: λ = 1.5418 Å (Cu Kα). Structure: the PBE geometry in Alexandria.

Top 10 peaks for 10 to 90 degrees two-theta, in order of rising 2θ:
| index | 2θ/deg | I (rel.) |
| --- | --- | --- |
| 0 1 2 | 14.9 | 6 |
| 0 2 4 | 30.0 | 100 |
| 2 0 8 | 42.1 | 36 |
| 2 2 0 | 43.8 | 35 |
| 0 0 12 | 51.2 | 6 |
| 4 0 4 | 54.0 | 18 |
| 0 4 8 | 62.4 | 11 |
| 2 2 12 | 69.6 | 14 |
| 2 4 4 | 72.0 | 15 |
| 4 2 8 | 79.3 | 11 |

Structural model:
Cell lengths 8.2706, 8.2706, 21.4225 Å; angles 90.00, 90.00, 120.00 degrees
Space group R-3m (No. 166, hexagonal axes)
One atom of each set of equivalent atoms:
Sr: 0.0000 0.5000 0.0000 [9 per cell]
Y: 0.0000 0.5000 0.5000 [9 per cell]
Sc: 0.0000 0.0000 0.5000 [3 per cell]
Se: 0.0000 0.0000 0.2439 [6 per cell]
Se: 0.0096 0.5048 0.2404 [18 per cell]